Material >
********
No. 1
Material: LiBH4
Method: DFT, PBE
State: optimized geometry

Cell lengths 3.964, 3.964, 6.395 Å; angles 90.00, 90.00, 90.54 degrees
Fractional coordinates of all 12 atoms:
1 H 0.739 0.773 0.750
2 H 0.773 0.739 0.250
3 B 0.981 0.515 0.250
4 H 0.527 0.163 0.905
5 H 0.163 0.527 0.405
6 Li 0.005 0.005 0.500
7 B 0.515 0.981 0.750
8 Li 0.005 0.005 0.000
9 H 0.256 0.811 0.750
10 H 0.811 0.256 0.250
11 H 0.527 0.163 0.595
12 H 0.163 0.527 0.095

Calculated values
The value obtained for the magnetic moment is 0.0 μB/f.u. The energy relative to the lowest polymorph listed for this composition comes out at 0.021 eV per atom.

---

No. 2
Material: Sr2LuBiO6
Method: DFT, PBE
State: optimized geometry

Cell lengths 6.007, 5.907, 10.284 Å; angles 54.85, 90.00, 90.00 degrees
Fractional coordinates of all 20 atoms:
1 Bi 0.000 0.000 0.000
2 Bi 0.500 0.000 0.500
3 O 0.294 0.335 0.454
4 Lu 0.500 0.500 0.000
5 O 0.794 0.665 0.046
6 O 0.211 0.751 0.546
7 Sr 0.459 0.259 0.750
8 Sr 0.959 0.741 0.750
9 O 0.471 0.160 0.253
10 O 0.289 0.751 0.046
11 O 0.029 0.160 0.753
12 O 0.529 0.840 0.747
13 O 0.971 0.840 0.247
14 O 0.206 0.335 0.954
15 Sr 0.041 0.259 0.250
16 O 0.789 0.249 0.454
17 O 0.711 0.249 0.954
18 O 0.706 0.665 0.546
19 Sr 0.541 0.741 0.250
20 Lu 0.000 0.500 0.500

Calculated values
The value obtained for the magnetic moment is 0.0 μB/f.u.

---

No. 3
Material: Mg2Nb2TeO8
Method: DFT, PBE
State: optimized geometry

Cell lengths 5.214, 6.167, 11.426 Å; angles 101.96, 96.18, 89.79 degrees
Fractional coordinates of all 26 atoms:
1 O 0.573 0.680 0.611
2 Nb 0.220 0.025 0.280
3 O 0.943 0.117 0.399
4 O 0.486 0.960 0.807
5 O 0.367 0.859 0.401
6 O 0.514 0.040 0.193
7 Mg 0.759 0.398 0.533
8 Mg 0.251 0.124 0.545
9 O 0.009 0.239 0.191
10 O 0.458 0.508 0.849
11 O 0.037 0.776 0.173
12 O 0.633 0.141 0.599
13 Mg 0.241 0.602 0.467
14 O 0.861 0.566 0.395
15 O 0.991 0.761 0.809
16 Mg 0.749 0.876 0.455
17 Nb 0.780 0.975 0.720
18 O 0.427 0.320 0.389
19 O 0.139 0.434 0.605
20 Te 0.175 0.339 0.980
21 O 0.057 0.883 0.601
22 O 0.542 0.492 0.151
23 O 0.963 0.224 0.827
24 Te 0.825 0.661 0.020
25 Nb 0.700 0.336 0.260
26 Nb 0.300 0.664 0.740

Calculated values
The value obtained for the magnetic moment is 0.0 μB/f.u.

---

No. 4
Material: SbS8Cl5O
Method: DFT, PBE
State: optimized geometry

Cell lengths 9.474, 11.051, 17.609 Å; angles 90.00, 90.00, 90.00 degrees
Fractional coordinates of all 60 atoms:
1 S 0.925 0.272 0.781
2 Cl 0.501 0.292 0.033
3 Cl 0.250 0.403 0.475
4 S 0.497 0.095 0.782
5 O 0.250 0.290 0.640
6 Cl 0.750 0.981 0.400
7 S 0.750 0.224 0.212
8 S 0.997 0.905 0.218
9 S 0.425 0.772 0.719
10 S 0.075 0.772 0.719
11 S 0.750 0.580 0.330
12 S 0.250 0.724 0.288
13 S 0.575 0.272 0.781
14 Cl 0.999 0.292 0.033
15 Cl 0.750 0.903 0.025
16 Cl 0.250 0.097 0.975
17 Sb 0.250 0.301 0.026
18 S 0.069 0.514 0.622
19 S 0.750 0.920 0.830
20 Cl 0.750 0.604 0.095
21 Sb 0.250 0.199 0.526
22 S 0.431 0.514 0.622
23 S 0.003 0.405 0.282
24 Cl 0.250 0.481 0.100
25 O 0.250 0.210 0.140
26 S 0.575 0.228 0.281
27 Sb 0.750 0.699 0.974
28 Cl 0.501 0.208 0.533
29 S 0.997 0.595 0.718
30 Cl 0.250 0.396 0.905
31 Cl 0.499 0.792 0.467
32 S 0.925 0.228 0.281
33 S 0.931 0.486 0.378
34 S 0.003 0.095 0.782
35 Cl 0.250 0.104 0.405
36 Sb 0.750 0.801 0.474
37 Cl 0.001 0.708 0.967
38 S 0.750 0.276 0.712
39 S 0.503 0.905 0.218
40 S 0.250 0.420 0.670
41 Cl 0.499 0.708 0.967
42 Cl 0.750 0.896 0.595
43 Cl 0.001 0.792 0.467
44 Cl 0.750 0.519 0.900
45 S 0.069 0.986 0.122
46 O 0.750 0.710 0.360
47 Cl 0.250 0.019 0.600
48 S 0.503 0.595 0.718
49 S 0.431 0.986 0.122
50 Cl 0.999 0.208 0.533
51 S 0.250 0.080 0.170
52 O 0.750 0.790 0.860
53 S 0.931 0.014 0.878
54 S 0.569 0.014 0.878
55 Cl 0.750 0.597 0.525
56 S 0.075 0.728 0.219
57 S 0.250 0.776 0.788
58 S 0.569 0.486 0.378
59 S 0.497 0.405 0.282
60 S 0.425 0.728 0.219

Calculated values
The value obtained for the magnetic moment is 0.0 μB/f.u.

---

No. 5
Material: AcAu3
Method: DFT, PBE
State: optimized geometry
********

To do >
The reader should transcribe all of the notes further up unchanged.

Outcome >
No. 1
Material: LiBH4
Method: DFT, PBE
State: optimized geometry

Cell lengths 3.964, 3.964, 6.395 Å; angles 90.00, 90.00, 90.54 degrees
Fractional coordinates of all 12 atoms:
1 H 0.739 0.773 0.750
2 H 0.773 0.739 0.250
3 B 0.981 0.515 0.250
4 H 0.527 0.163 0.905
5 H 0.163 0.527 0.405
6 Li 0.005 0.005 0.500
7 B 0.515 0.981 0.750
8 Li 0.005 0.005 0.000
9 H 0.256 0.811 0.750
10 H 0.811 0.256 0.250
11 H 0.527 0.163 0.595
12 H 0.163 0.527 0.095

Calculated values
The value obtained for the magnetic moment is 0.0 μB/f.u. The energy relative to the lowest polymorph listed for this composition comes out at 0.021 eV per atom.

---

No. 2
Material: Sr2LuBiO6
Method: DFT, PBE
State: optimized geometry

Cell lengths 6.007, 5.907, 10.284 Å; angles 54.85, 90.00, 90.00 degrees
Fractional coordinates of all 20 atoms:
1 Bi 0.000 0.000 0.000
2 Bi 0.500 0.000 0.500
3 O 0.294 0.335 0.454
4 Lu 0.500 0.500 0.000
5 O 0.794 0.665 0.046
6 O 0.211 0.751 0.546
7 Sr 0.459 0.259 0.750
8 Sr 0.959 0.741 0.750
9 O 0.471 0.160 0.253
10 O 0.289 0.751 0.046
11 O 0.029 0.160 0.753
12 O 0.529 0.840 0.747
13 O 0.971 0.840 0.247
14 O 0.206 0.335 0.954
15 Sr 0.041 0.259 0.250
16 O 0.789 0.249 0.454
17 O 0.711 0.249 0.954
18 O 0.706 0.665 0.546
19 Sr 0.541 0.741 0.250
20 Lu 0.000 0.500 0.500

Calculated values
The value obtained for the magnetic moment is 0.0 μB/f.u.

---

No. 3
Material: Mg2Nb2TeO8
Method: DFT, PBE
State: optimized geometry

Cell lengths 5.214, 6.167, 11.426 Å; angles 101.96, 96.18, 89.79 degrees
Fractional coordinates of all 26 atoms:
1 O 0.573 0.680 0.611
2 Nb 0.220 0.025 0.280
3 O 0.943 0.117 0.399
4 O 0.486 0.960 0.807
5 O 0.367 0.859 0.401
6 O 0.514 0.040 0.193
7 Mg 0.759 0.398 0.533
8 Mg 0.251 0.124 0.545
9 O 0.009 0.239 0.191
10 O 0.458 0.508 0.849
11 O 0.037 0.776 0.173
12 O 0.633 0.141 0.599
13 Mg 0.241 0.602 0.467
14 O 0.861 0.566 0.395
15 O 0.991 0.761 0.809
16 Mg 0.749 0.876 0.455
17 Nb 0.780 0.975 0.720
18 O 0.427 0.320 0.389
19 O 0.139 0.434 0.605
20 Te 0.175 0.339 0.980
21 O 0.057 0.883 0.601
22 O 0.542 0.492 0.151
23 O 0.963 0.224 0.827
24 Te 0.825 0.661 0.020
25 Nb 0.700 0.336 0.260
26 Nb 0.300 0.664 0.740

Calculated values
The value obtained for the magnetic moment is 0.0 μB/f.u.

---

No. 4
Material: SbS8Cl5O
Method: DFT, PBE
State: optimized geometry

Cell lengths 9.474, 11.051, 17.609 Å; angles 90.00, 90.00, 90.00 degrees
Fractional coordinates of all 60 atoms:
1 S 0.925 0.272 0.781
2 Cl 0.501 0.292 0.033
3 Cl 0.250 0.403 0.475
4 S 0.497 0.095 0.782
5 O 0.250 0.290 0.640
6 Cl 0.750 0.981 0.400
7 S 0.750 0.224 0.212
8 S 0.997 0.905 0.218
9 S 0.425 0.772 0.719
10 S 0.075 0.772 0.719
11 S 0.750 0.580 0.330
12 S 0.250 0.724 0.288
13 S 0.575 0.272 0.781
14 Cl 0.999 0.292 0.033
15 Cl 0.750 0.903 0.025
16 Cl 0.250 0.097 0.975
17 Sb 0.250 0.301 0.026
18 S 0.069 0.514 0.622
19 S 0.750 0.920 0.830
20 Cl 0.750 0.604 0.095
21 Sb 0.250 0.199 0.526
22 S 0.431 0.514 0.622
23 S 0.003 0.405 0.282
24 Cl 0.250 0.481 0.100
25 O 0.250 0.210 0.140
26 S 0.575 0.228 0.281
27 Sb 0.750 0.699 0.974
28 Cl 0.501 0.208 0.533
29 S 0.997 0.595 0.718
30 Cl 0.250 0.396 0.905
31 Cl 0.499 0.792 0.467
32 S 0.925 0.228 0.281
33 S 0.931 0.486 0.378
34 S 0.003 0.095 0.782
35 Cl 0.250 0.104 0.405
36 Sb 0.750 0.801 0.474
37 Cl 0.001 0.708 0.967
38 S 0.750 0.276 0.712
39 S 0.503 0.905 0.218
40 S 0.250 0.420 0.670
41 Cl 0.499 0.708 0.967
42 Cl 0.750 0.896 0.595
43 Cl 0.001 0.792 0.467
44 Cl 0.750 0.519 0.900
45 S 0.069 0.986 0.122
46 O 0.750 0.710 0.360
47 Cl 0.250 0.019 0.600
48 S 0.503 0.595 0.718
49 S 0.431 0.986 0.122
50 Cl 0.999 0.208 0.533
51 S 0.250 0.080 0.170
52 O 0.750 0.790 0.860
53 S 0.931 0.014 0.878
54 S 0.569 0.014 0.878
55 Cl 0.750 0.597 0.525
56 S 0.075 0.728 0.219
57 S 0.250 0.776 0.788
58 S 0.569 0.486 0.378
59 S 0.497 0.405 0.282
60 S 0.425 0.728 0.219

Calculated values
The value obtained for the magnetic moment is 0.0 μB/f.u.

---

No. 5
Material: AcAu3
Method: DFT, PBE
State: optimized geometry